02/17/2017 05:54 pm ET

AP’s National Guard Story Is A Lesson About How News Works In The Trump Era

== Next to the article, the page also holds records of crystals ==
~~~
The following is a DFT calculation (GGA-PBE) of a relaxed structure of DyH6C6Cl3O9F6.

magnetization: 0.01 Bohr magnetons per cell
energy with MP2020 corrections: -6.170 eV/atom
V: 14.3 A^3/atom

The structure in POSCAR format:
```
DyH6C6Cl3O9F6
1.0
9.472 0.000 0.000
0.000 19.488 0.000
-4.353 0.000 9.631
Dy H C Cl O F
4 24 24 12 36 24
Direct
0.203 0.074 0.032 Dy
0.203 0.426 0.532 Dy
0.797 0.574 0.468 Dy
0.797 0.926 0.968 Dy
0.046 0.215 0.983 H
0.046 0.285 0.483 H
0.180 0.216 0.926 H
0.180 0.284 0.426 H
0.316 0.184 0.269 H
0.316 0.316 0.769 H
0.403 0.114 0.329 H
0.403 0.386 0.829 H
0.443 0.560 0.373 H
0.443 0.940 0.873 H
0.490 0.512 0.638 H
0.490 0.988 0.138 H
0.510 0.012 0.862 H
0.510 0.488 0.362 H
0.557 0.060 0.127 H
0.557 0.440 0.627 H
0.597 0.614 0.171 H
0.597 0.886 0.671 H
0.684 0.684 0.231 H
0.684 0.816 0.731 H
0.820 0.716 0.574 H
0.820 0.784 0.074 H
0.954 0.715 0.517 H
0.954 0.785 0.017 H
0.137 0.542 0.749 C
0.137 0.958 0.249 C
0.139 0.585 0.411 C
0.139 0.915 0.911 C
0.175 0.651 0.346 C
0.175 0.849 0.846 C
0.218 0.560 0.907 C
0.218 0.940 0.407 C
0.342 0.171 0.836 C
0.342 0.329 0.336 C
0.438 0.164 0.747 C
0.438 0.336 0.247 C
0.562 0.664 0.753 C
0.562 0.836 0.253 C
0.658 0.671 0.664 C
0.658 0.829 0.164 C
0.782 0.060 0.593 C
0.782 0.440 0.093 C
0.825 0.151 0.154 C
0.825 0.349 0.654 C
0.861 0.085 0.089 C
0.861 0.415 0.589 C
0.863 0.042 0.751 C
0.863 0.458 0.251 C
0.050 0.656 0.168 Cl
0.050 0.844 0.668 Cl
0.242 0.650 0.928 Cl
0.242 0.850 0.428 Cl
0.316 0.138 0.577 Cl
0.316 0.362 0.077 Cl
0.684 0.638 0.923 Cl
0.684 0.862 0.423 Cl
0.758 0.150 0.572 Cl
0.758 0.350 0.072 Cl
0.950 0.156 0.332 Cl
0.950 0.344 0.832 Cl
0.000 0.064 0.812 O
0.000 0.436 0.312 O
0.000 0.564 0.688 O
0.000 0.936 0.188 O
0.019 0.589 0.432 O
0.019 0.911 0.932 O
0.139 0.192 0.989 O
0.139 0.308 0.489 O
0.215 0.507 0.701 O
0.215 0.993 0.201 O
0.232 0.535 0.434 O
0.232 0.965 0.934 O
0.281 0.229 0.833 O
0.281 0.271 0.333 O
0.323 0.135 0.248 O
0.323 0.365 0.748 O
0.334 0.117 0.900 O
0.334 0.383 0.400 O
0.474 0.037 0.144 O
0.474 0.463 0.644 O
0.526 0.537 0.356 O
0.526 0.963 0.856 O
0.666 0.617 0.600 O
0.666 0.883 0.100 O
0.677 0.635 0.252 O
0.677 0.865 0.752 O
0.719 0.729 0.667 O
0.719 0.771 0.167 O
0.768 0.035 0.066 O
0.768 0.465 0.566 O
0.785 0.007 0.799 O
0.785 0.493 0.299 O
0.861 0.692 0.511 O
0.861 0.808 0.011 O
0.981 0.089 0.068 O
0.981 0.411 0.568 O
0.131 0.537 0.974 F
0.131 0.963 0.474 F
0.156 0.707 0.414 F
0.156 0.793 0.914 F
0.325 0.652 0.360 F
0.325 0.848 0.860 F
0.360 0.530 0.969 F
0.360 0.970 0.469 F
0.445 0.617 0.696 F
0.445 0.883 0.196 F
0.493 0.725 0.758 F
0.493 0.775 0.258 F
0.507 0.225 0.742 F
0.507 0.275 0.242 F
0.555 0.117 0.804 F
0.555 0.383 0.304 F
0.640 0.030 0.531 F
0.640 0.470 0.031 F
0.675 0.152 0.140 F
0.675 0.348 0.640 F
0.844 0.207 0.086 F
0.844 0.293 0.586 F
0.869 0.037 0.526 F
0.869 0.463 0.026 F
```

---

The following is a DFT calculation (GGA-PBE) of a relaxed structure of Zr4C3N.
~~~

Is the White House playing the media? Are we playing ourselves? Just...take a breath.

On Friday morning, The Associated Press reported that it had obtained an 11-page draft memo that suggested the Department of Homeland Security was contemplating a National Guard mobilization to round up unauthorized immigrants en masse across several states.
The White House almost immediately denied the authenticity of the memo. And with that, the press was back in a wilderness of confusion, asking, “How did this memo come to exist, then?”
I doubt the American political scene is full of 12-dimensional chess grandmasters, leaking memos and then denying them to make the press look bad. Most politicians are shallow and stupid! But the chaos surrounding the memo story shows the deep need for journalists to think carefully about how to approach big, breaking news in the age of President Donald Trump.
AP’s story hit Twitter like a neutron bomb. It’s easy to see why — the AP’s tweet read: “BREAKING: Trump administration considers mobilizing as many as 100,000 National Guard troops to round up unauthorized immigrants.” Madness, right? Time to gravely intone, “And so it begins,” for the 900th time!
Pause a minute. Right now, the media is probably more primed for a freak-out than we’d care to admit. And that’s led to mistakes. Here are some stories you might recall over the past few weeks: The Treasury Department is going to ease sanctions that allow companies to pursue transactions with the Russian security service! LGBTQ issues pages have suddenly vanished from the White House website! Supreme Court nominee Neil Gorsuch was in a “Fascism Forever” club!
These are just a few stories, off the top of my head, that ended up getting “Donald Trump is breaking democratic norms and we’re heading for all sorts of crises” treatment that actually had completely different explanations or were merely quotidian events that could have safely escaped mention. That Treasury decision? It was an adjustment that was initiated before Trump took office. Those White House webpages? Part of a standard, administrative changeover. Neil Gorsuch’s club? It wasn’t a real club — just a lighthearted joke made up for high school yearbook laughs.
You can see some of this when you start to examine the fundamentals of The Associated Press story on this draft memo. The AP reports:
The Trump administration is considering a proposal to mobilize as many as 100,000 National Guard troops to round up unauthorized immigrants, including millions living nowhere near the Mexico border, according to a draft memo obtained by The Associated Press.
The 11-page document calls for the unprecedented militarization of immigration enforcement as far north as Portland, Oregon, and as far east as New Orleans, Louisiana.
Four states that border on Mexico are included in the proposal — California, Arizona, New Mexico and Texas — but it also encompasses seven states contiguous to those four — Oregon, Nevada, Utah, Colorado, Oklahoma, Arkansas and Louisiana.
The AP goes on to report that the memo was “written by U.S. Homeland Security Secretary John Kelly” and that while “National Guard personnel have been used to assist with immigration-related missions on the U.S.-Mexico border before, they have never been used as broadly or as far north.”
So, here is what appears to be the draft memo. (I say “appears to be” because I have no way of knowing whether this is precisely what the AP received, or if the memo has been revised since the AP obtained it.) Nowhere within will you find anything about 100,000 National Guard troops being mobilized to round people up. As near as I can tell, that figure seems to have been derived by totting up the number of available National Guard troops in the states affected by this draft memo. That may be close to the number of National Guard troops available — certainly the AP hedges by saying “as many as 100,000” troops might be potentially involved.
I might have refrained from offering this estimate, however, for two reasons. First, it would be up to the discretion of the governors in these states to deploy their National Guard troops. It’s not clear whether they would choose to do so. Second, it would seem rather sensible to imagine that if the governors affected by this memo did choose to deploy National Guard troops to pursue this mission, they would likely not assign the entirety of their states’ contingents to this task. So, in theory, sure, “as many as 100,000.” In practice, no.
Knowing this, it won’t just be White House press secretary Sean Spicer’s stringent denials that will make the AP story look oversold. The AP has opened itself to criticism from the White House, and may have spread unnecessary fear among immigrant communities and their advocates. Like some of the previous stories I’ve cited, AP is a bit out over its skis on this — unnecessarily so — and leaves itself exposed to a credibility hit.
This “primed for freakout” condition is common in the Trump-era press. And before you accuse me of being up on a high horse about this, let me confess that I’ve had to confront this tendency in myself as well, and I am, at this moment, always on the verge of lapsing. What happened today fits a pattern. We’ve seen this whole “draft order of dubious origin gets leaked and denied” game on two previous occasions. On Jan. 25, The New York Times obtained a draft of an executive order that would revive CIA “black sites.” It was reported that Trump was “poised to lift the ban” on these practices. But the White House very quickly countered that the draft order was “not a White House document,” and for a while, no one was sure from whence it had originated. Eventually, the Times got the origin story sourced to the White House, which had “circulated the draft order among national security staff members.”
Ultimately, however, no executive order on black sites was signed. Similarly, a draft executive order curtailing the rights of the LGBTQ community ended up being reported in February. According to accounts, this draft was “circulating in the Trump administration,” and when news of this broke, it touched off another round of jump-scares about the White House adopting and enshrining discriminatory policies. Again, no executive order ended up getting signed, and like the black sites memo, this policy prescription ended up vanishing in the ether of the news cycle.
The AP’s National Guard story is shaping up to be the third such example, officially making this “trend piece-eligible” at the very least.
Some have suggested these leaks are some sort of by-design bait-and-switch, wherein the White House gets a “Donald Trump is mulling doing something extreme” story, then denies it, leaving the news organization that reported on it sandbagged and exposed. Meanwhile, the White House is suddenly in a stronger position to do what they actually want to do.
Here’s how this would work:
1. The White House lets it be known that they might do something crazily extreme.
2. Which allows the media’s reporting to sow outrage.
3. Allowing the White House to back up onto a policy that’s less crazily extreme.
4. Leaving everyone feeling relieved about the bullet that was dodged and proud of themselves for having backed Trump down. Also, the media looks stupid.
5. But the less crazily extreme plan was what they wanted all along!
The AP reported it attempted to get clarification from the White House several times before it went to press, affording the administration the opportunity to disown the policy entirely. That means the White House could have nipped this story in the bud, but opted not to. What does the White House gain from that? Well, additional ammunition to make the case that the media is being unfair, for a start.
But even if this is what’s happening — and the White House says it’s definitely not — this game is not new. It’s basic as hell, and used in American politics all the time. Why does anyone propose a six-week abortion ban? To make it more palatable to pass a 20-week abortion ban.
Considering an extreme policy to make political room for a slightly less-extreme policy isn’t some crazy-new innovation that Trump and his cabal of super-geniuses came up with, nor is it something they’ve imported from the Kremlin. As much as it might feel right to believe that, the assumption that you are forever tunneling through a Twilight Zone is going to lead you to paint everything with a paranoid brush and make you more likely to equate the truly extreme ideas of Trump’s White House with every other trivial action the administration undertakes. All things cannot be equally momentous or pernicious. If you can’t make that differentiation, you’ll harm your readership ― training them to either panic at the drop of a hat, or to disregard the dire import of bad policy.
Here’s the real takeaway: The media should be awake to the possibility that the breakneck speed of our industry, the norm-breaking and erratic tendencies of the president, and the very real stakes of outlandish policy decisions combine to provide the White House with opportunities to kill us with paper cuts. Self-awareness, in this instance, will strengthen our hand.
There are a lot of things for which Trump plainly has no respect: the media, civil society, democratic norms, the truth itself. This White House is going to make some bad decisions. This is a time for the media to have those cat-like reflexes. But we need to be the cat that carefully sizes up its prey and sets every muscle precisely before it pounces, not the cat that catches sight of its own tail and goes spiraling and tumbling after it, to the mocking delight of its masters.

Jason Linkins edits “Eat the Press” for The Huffington Post and co-hosts the HuffPost Politics podcast “So, That Happened.”